Health-care prescription: decentralization
- - -
Entry 1:
Here is a relaxed structure of La3TiBeS7 from Materials Project. Energies are from PBE-GGA.

energy relative to the elements	-2.101	eV/atom

Cell lengths 10.3207, 10.3207, 5.8181 Å; angles 90.00, 90.00, 120.00 degrees
Last column: nearest neighbours and their distance in Å.
Element x y z (fractional)
S1 0.4029 0.5177 0.0319  1 Be 2.13
S2 0.0765 0.2236 0.2662  2 Ti 2.50
S3 0.7764 0.8529 0.2662  2 Ti 2.50
S4 0.5971 0.4823 0.5319  1 Be 2.13
S5 0.3333 0.6667 0.5166  1 Be 2.08
La1 0.6086 0.7451 0.7491  6 S 2.78-3.10
S6 0.8529 0.0765 0.7662  2 Ti 2.50
La2 0.3914 0.2549 0.2491  6 S 2.78-3.10
Ti1 0.0000 0.0000 0.5153  6 S 2.50
S7 0.5177 0.1148 0.5319  1 Be 2.13
La3 0.2549 0.8634 0.7491  6 S 2.78-3.10
La4 0.8634 0.6086 0.2491  6 S 2.78-3.10
S8 0.8852 0.4029 0.5319  1 Be 2.13
S9 0.2236 0.1471 0.7662  2 Ti 2.50
Be1 0.6667 0.3333 0.6587  4 S 2.08-2.13
S10 0.4823 0.8852 0.0319  1 Be 2.13
S11 0.1471 0.9235 0.2662  2 Ti 2.50
S12 0.6667 0.3333 0.0166  1 Be 2.08
La5 0.7451 0.1366 0.2491  6 S 2.78-3.10
La6 0.1366 0.3914 0.7491  6 S 2.78-3.10
S13 0.9235 0.7764 0.7662  2 Ti 2.50
Ti2 0.0000 0.0000 0.0153  6 S 2.50
S14 0.1148 0.5971 0.0319  1 Be 2.13
Be2 0.3333 0.6667 0.1587  4 S 2.08-2.13

Entry 2:
Here is a relaxed structure of Li2PmAl from Materials Project. Energies are from PBE-GGA.

energy relative to the elements	-0.188	eV/atom

Cell lengths 4.8297, 4.8297, 4.8297 Å; angles 60.00, 60.00, 60.00 degrees
Last column: nearest neighbours and their distance in Å.
Element x y z (fractional)
Al1 0.5000 0.5000 0.5000  8 Li 2.96
Li1 0.7500 0.7500 0.7500  4 Pm 2.96, 4 Al 2.96
Li2 0.2500 0.2500 0.2500  4 Al 2.96, 4 Pm 2.96
Pm1 0.0000 0.0000 0.0000  8 Li 2.96

Entry 3:
Here is a relaxed structure of RbPaO3 from Materials Project. Energies are from PBE-GGA.

energy relative to the elements	-3.537	eV/atom

Cell lengths 4.4105, 4.4105, 4.4105 Å; angles 90.00, 90.00, 90.00 degrees
Last column: nearest neighbours and their distance in Å.
Element x y z (fractional)
O1 0.0000 0.5000 0.0000  2 Pa 2.21
Pa1 0.0000 0.0000 0.0000  6 O 2.21
O2 0.5000 0.0000 0.0000  2 Pa 2.21
O3 0.0000 0.0000 0.5000  2 Pa 2.21
Rb1 0.5000 0.5000 0.5000  12 O 3.12

Entry 4:
Here is a relaxed structure of MoS2 from Materials Project. Energies are from PBE-GGA.

energy relative to the elements	-0.934	eV/atom

Cell lengths 6.7877, 6.7877, 6.7877 Å; angles 60.00, 60.00, 60.00 degrees
Last column: nearest neighbours and their distance in Å.
Element x y z (fractional)
Mo1 0.8588 0.8588 0.4235  6 S 2.37-2.51
Mo2 0.4235 0.8588 0.8588  6 S 2.37-2.51
S1 0.6446 0.1185 0.1185  3 Mo 2.51
S2 0.1185 0.1185 0.6446  3 Mo 2.51
S3 0.6149 0.1553 0.6149  3 Mo 2.37
S4 0.1185 0.1185 0.1185  3 Mo 2.51
Mo3 0.8588 0.8588 0.8588  6 S 2.37-2.51
S5 0.6149 0.6149 0.1553  3 Mo 2.37
S6 0.6149 0.6149 0.6149  3 Mo 2.37
S7 0.1553 0.6149 0.6149  3 Mo 2.37
Mo4 0.8588 0.4235 0.8588  6 S 2.37-2.51
S8 0.1185 0.6446 0.1185  3 Mo 2.51

Entry 5:
Here is a relaxed structure of Er15Fe8C25 from Materials Project. Energies are from PBE-GGA.
- - -
[End of the calculated crystals]

Health Minister Gaétan Barrette is currently piloting Bill 130, which curtails the autonomy of doctors and gives the health minister the right to make changes to the internal rules governing health establishments. This is just the latest of countless attempts in the past three decades to reform the province’s health-care system. The reason for this governmental hyperactivity is simple: There are multiple systemic problems, especially in terms of long emergency room wait times and long delays for surgeries.
Not only has the Health Ministry been unable to plan the long-term development of the system in such a way as to put an end to these problems once and for all; it also seems unable to allocate resources efficiently when the unexpected occurs. The slightest thing, like hospital staff vacations or the early onset of the winter flu season, creates a chaotic situation in emergency rooms.
Barrette seems to think he can resolve these problems by increasing the centralization of decision-making. The current MUHC crisis, with the independent members of the board of directors resigning en masse, is just the latest manifestation of this permanent crisis.
Other sectors of activity, however, do not seem to be saddled with the same recurrent problems. Normally, there are not long wait times to see a dentist, an accountant or a hairdresser, and most goods and services that we can buy are not in short supply. What, then, is so different about health care?
Planning the production of health-care services requires a great deal of information, for example on the characteristics of the population, the most common illnesses in each region, the level of use of emergency rooms. The more complex and vast a system is, the more information that needs to be processed.
For Nobel laureate in economics Friedrich Hayek (1899-1992), the problem is complicated by the fact that a large portion of the information that’s needed is not accessible. It is known only to the millions of individual actors, and even then, is only generated as they make decisions and act. In a 1945 article that has become a classic in economics, Hayek explained that it is impossible for bureaucrats at the head of a vast and complex organization to control everything in an efficient manner, given that there exists no mechanism for obtaining this information.
In contrast to planning, the market allows for an effective allocation of resources without needing to centralize this information. The innumerable market interactions between individual agents give rise to prices, which are signals that transmit information about the needs and wants of participants, the availability of resources, the values of alternative uses for these, and so on. Prices signal to each party what he or she must do to make the most of existing resources, and they produce incentives that ensure effective coordination.
In short, centralized planning requires an omniscient planner if selected objectives are to be achieved, while the market does not need us to know everything, but merely requires actors to react to prices.
It’s no surprise, then, that health-care systems that work better than ours, like Sweden’s, are generally more decentralized. This decentralization allows actors on the ground, who see the needs of patients and the availability of resources, to make the necessary decisions.
Next to the page, the page also holds crystal structures =
********
(1)
! Li5Co4NiO10 | the Materials Project | GGA+U | optimized geometry; values from VASP
&SYSTEM
  ibrav = 0, nat = 20, ntyp = 4
/
ATOMIC_SPECIES
Li 6.94 Li.upf
Co 58.93 Co.upf
Ni 58.69 Ni.upf
O 16.00 O.upf
CELL_PARAMETERS angstrom
4.945 -1.499 0.000
4.945 1.499 0.000
-2.428 0.000 12.209
ATOMIC_POSITIONS angstrom
Li 0.000 0.000 0.000
Li 1.002 0.000 4.865
Li 2.019 0.000 9.781
Li 5.442 0.000 2.427
Li 6.459 0.000 7.344
Co -0.744 0.000 8.513
Co 2.736 0.000 1.227
Co 4.726 0.000 10.981
Co 8.206 0.000 3.696
Ni 3.731 0.000 6.104
O -1.478 0.000 10.344
O 0.065 0.000 6.834
O 1.976 0.000 2.961
O 1.067 0.000 11.672
O 2.944 0.000 7.999
O 4.518 0.000 4.209
O 6.395 0.000 0.536
O 5.486 0.000 9.248
O 7.397 0.000 5.374
O 8.939 0.000 1.865
! energy of formation from the pure elements = -1.608 eV/atom
! E (MP2020) = -6.270 eV per atom
! crystal system = monoclinic
! spin magnetization = 9.0 μB/f.u.
! SG = C2/m, No. 12

***

(2)
! Li3CoNi3O8 | the Materials Project | GGA+U | optimized geometry; values from VASP
&SYSTEM
  ibrav = 0, nat = 15, ntyp = 4
/
ATOMIC_SPECIES
Li 6.94 Li.upf
Co 58.93 Co.upf
Ni 58.69 Ni.upf
O 16.00 O.upf
CELL_PARAMETERS angstrom
2.881 1.663 4.795
-2.881 1.663 4.795
0.000 -3.327 4.795
ATOMIC_POSITIONS angstrom
Li -1.441 -0.832 4.795
Li -1.441 0.832 9.590
Li 0.000 1.663 4.795
Co 0.000 0.000 7.192
Ni -2.881 0.000 7.192
Ni -1.441 0.832 2.397
Ni 1.441 0.832 2.397
O 0.000 0.000 3.444
O -1.350 -0.779 8.230
O 0.000 -1.558 6.154
O -1.350 0.779 6.154
O 1.350 -0.779 8.230
O 0.000 1.558 8.230
O 1.350 0.779 6.154
O 0.000 0.000 10.941
! energy of formation from the pure elements = -1.428 eV/atom
! ΔE to the lowest computed polymorph = 0.0 kJ per mole of atoms
! E (MP2020) = -6.078 eV per atom
! crystal system = trigonal
! spin magnetization = 2.0 μB/f.u.
! SG = R-3m, No. 166

***

(3)
! Li2CoNiO4 | the Materials Project | GGA+U | optimized geometry; values from VASP
&SYSTEM
  ibrav = 0, nat = 16, ntyp = 4
/
ATOMIC_SPECIES
Li 6.94 Li.upf
Co 58.93 Co.upf
Ni 58.69 Ni.upf
O 16.00 O.upf
CELL_PARAMETERS angstrom
4.085 0.000 0.000
0.000 4.097 0.000
0.000 0.000 8.383
ATOMIC_POSITIONS angstrom
Li 0.000 0.000 0.000
Li 0.000 2.048 2.100
Li 2.043 0.000 6.289
Li 2.043 2.048 4.185
Co 0.000 0.000 4.188
Co 2.043 2.048 8.373
Ni 0.000 2.048 6.274
Ni 2.043 0.000 2.095
O 0.000 0.000 2.313
O 0.000 0.000 6.037
O 0.000 2.048 4.294
O 0.000 2.048 8.266
O 2.043 0.000 0.068
O 2.043 0.000 4.111
O 2.043 2.048 1.811
O 2.043 2.048 6.555
! energy of formation from the pure elements = -1.552 eV/atom
! ΔE to the lowest computed polymorph = 6.9 kJ per mole of atoms
! E (MP2020) = -6.115 eV per atom
! crystal system = orthorhombic
! spin magnetization = 0.7 μB/f.u.
! SG = Pmm2, No. 25

***

(4)
! Li2Co3NiO8 | the Materials Project | GGA+U | optimized geometry; values from VASP
&SYSTEM
  ibrav = 0, nat = 56, ntyp = 4
/
ATOMIC_SPECIES
Li 6.94 Li.upf
Co 58.93 Co.upf
Ni 58.69 Ni.upf
O 16.00 O.upf
CELL_PARAMETERS angstrom
8.042 0.000 0.000
0.000 8.042 0.000
0.000 0.000 8.042
********
A related measure consists of relying more on market pricing as a co-ordination mechanism. These prices could emerge in a system based on patient choice and competition between public and private care providers, instead of a public monopoly. Competition itself plays an essential role in the discovery of information, as Hayek also explained.
Even in a mixed universal health-care system financed for the most part by government, it is possible to steer clear of the main hazards of centralized planning. According to Hayek’s teachings, instead of further centralizing administration to resolve recurring problems, Barrette should do the exact opposite.
Germain Belzile est chercheur associé senior à l’IEDM et auteur de « Le Point – La centralisation en santé : une recette vouée à l’échec ». Il signe ce texte à titre personnel.